Please quote the whole of the material below with every line break kept.

+++
Below is C4H5NO in the gas phase at a distorted geometry, with properties calculated with wB97M-V/def2-TZVPD.

Computed properties:
HOMO-LUMO gap: 11.7 eV
structure (SMILES): N#CC[C@H]1CO1
ΔE to the lowest compared entry with this formula, charge and spin: 211.75 kJ/mol
strongest force on any atom: 1.67 eV/Å

Last column: Löwdin charge in e.
CARTESIAN COORDINATES (ANGSTROEM)
N -2.903 1.363 0.580  0.1424
C -1.906 0.945 0.177  -0.2094
C -0.637 0.520 -0.366  -0.1373
C 0.345 -0.150 0.544  -0.2744
C 1.227 -1.070 -0.128  -0.1257
O 1.607 0.281 -0.003  -0.0550
H 0.036 1.341 -0.556  0.1320
H -0.787 -0.057 -1.283  0.1330
H 0.281 -0.072 1.631  0.1590
H 1.791 -1.691 0.531  0.1096
H 0.945 -1.409 -1.127  0.1258

***

Below is 2 unconnected molecules or ions with the total composition C4H5NO at a distorted geometry, with properties calculated with wB97M-V/def2-TZVPD.

Computed properties:
HOMO-LUMO gap (spin up / spin down): 8.4 / 7.7 eV
ΔE to the lowest compared entry with this formula, charge and spin: 491.41 kJ/mol
strongest force on any atom: 1.11 eV/Å

Last column: Löwdin charge in e.
CARTESIAN COORDINATES (ANGSTROEM)
C -1.633 0.069 -0.789  -0.1184
C -0.257 0.030 -0.232  -0.0220
C 1.525 -0.201 1.570  -0.1864
O 1.777 -0.380 2.700  0.1204
C 2.266 0.036 0.307  -0.2218
N 1.959 0.213 -0.834  0.1054
H -2.364 -0.132 0.010  0.0912
H -1.775 -0.700 -1.553  0.0787
H -1.869 1.052 -1.206  0.0774
H 0.151 0.938 0.166  0.0376
H 0.220 -0.925 -0.139  0.0379

***

Below is C4H5NO in the gas phase, with properties calculated with wB97M-V/def2-TZVPD.

Computed properties:
HOMO-LUMO gap: 10.9 eV
structure (SMILES): C=COC1=NC1
ΔE to the lowest compared entry with this formula, charge and spin: 297.74 kJ/mol
strongest force on any atom: 0.54 eV/Å

Last column: Löwdin charge in e.
CARTESIAN COORDINATES (ANGSTROEM)
C -1.154 -1.165 0.344  0.0467
C -1.350 -0.251 -0.594  -0.1708
O -0.328 0.387 -1.283  0.0506
C 0.781 0.599 -0.584  -0.4588
N 1.987 0.876 -0.744  0.1948
C 1.403 0.766 0.691  -0.0788
H -0.159 -1.488 0.629  0.0643
H -1.999 -1.613 0.851  0.0648
H -2.318 0.089 -0.945  0.1191
H 1.703 -0.096 1.287  0.0816
H 1.288 1.696 1.247  0.0864

***

Below is C4H5NO in the gas phase at a distorted geometry, with properties calculated with wB97M-V/def2-TZVPD.

Computed properties:
HOMO-LUMO gap: 10.1 eV
structure (SMILES): C#CCON=C
ΔE to the lowest compared entry with this formula, charge and spin: 633.27 kJ/mol
strongest force on any atom: 7.53 eV/Å

Last column: Löwdin charge in e.
CARTESIAN COORDINATES (ANGSTROEM)
C 0.357 2.218 2.134  0.1152
C 0.787 1.235 1.439  -0.0814
C 0.566 0.062 0.606  -0.2429
O -0.483 -0.210 -0.324  -0.1585
N -0.033 -1.149 -1.044  -0.1221
C -0.827 -1.326 -2.066  -0.0262
H 0.307 2.804 3.065  0.0376
H 1.521 -0.449 0.094  0.1598
H 0.249 -0.650 1.366  0.1174
H -0.692 -1.988 -2.996  0.0795
H -1.751 -0.547 -2.275  0.1216

***

Below is C4H5NO in the gas phase at a distorted geometry, with properties calculated with wB97M-V/def2-TZVPD.

Computed properties:
HOMO-LUMO gap: 11.6 eV
structure (SMILES): N#C[C@H]1CCO1
ΔE to the lowest compared entry with this formula, charge and spin: 156.67 kJ/mol
strongest force on any atom: 1.11 eV/Å

Last column: Löwdin charge in e.
CARTESIAN COORDINATES (ANGSTROEM)
N 2.825 -0.766 0.021  0.1576
C 1.858 -0.140 0.122  -0.1444
C 0.596 0.621 0.234  -0.3185
C -0.477 0.189 -0.784  -0.0771
C -1.109 -0.504 0.430  -0.1562
O -0.200 0.167 1.328  -0.0782
H 0.822 1.690 0.302  0.1496
H -1.062 1.032 -1.155  0.1131
H -0.143 -0.437 -1.613  0.1150
H -2.152 -0.263 0.655  0.1174
H -0.959 -1.590 0.461  0.1217

***

Below is a molecular structure, C4H5NO, with properties calculated with wB97M-V/def2-TZVPD.

Computed properties:
HOMO-LUMO gap: 9.9 eV
ΔE to the lowest compared entry with this formula, charge and spin: 487.81 kJ/mol
strongest force on any atom: 0.48 eV/Å

Last column: Löwdin charge in e.
CARTESIAN COORDINATES (ANGSTROEM)
N 1.860 0.319 -0.377  0.1572
C 0.707 -0.336 0.007  -0.5203
C 0.576 1.111 -0.005  -0.0717
+++

Below is C4H5NO in the gas phase at a distorted geometry, with properties calculated with wB97M-V/def2-TZVPD.

Computed properties:
HOMO-LUMO gap: 11.7 eV
structure (SMILES): N#CC[C@H]1CO1
ΔE to the lowest compared entry with this formula, charge and spin: 211.75 kJ/mol
strongest force on any atom: 1.67 eV/Å

Last column: Löwdin charge in e.
CARTESIAN COORDINATES (ANGSTROEM)
N -2.903 1.363 0.580  0.1424
C -1.906 0.945 0.177  -0.2094
C -0.637 0.520 -0.366  -0.1373
C 0.345 -0.150 0.544  -0.2744
C 1.227 -1.070 -0.128  -0.1257
O 1.607 0.281 -0.003  -0.0550
H 0.036 1.341 -0.556  0.1320
H -0.787 -0.057 -1.283  0.1330
H 0.281 -0.072 1.631  0.1590
H 1.791 -1.691 0.531  0.1096
H 0.945 -1.409 -1.127  0.1258

***

Below is 2 unconnected molecules or ions with the total composition C4H5NO at a distorted geometry, with properties calculated with wB97M-V/def2-TZVPD.

Computed properties:
HOMO-LUMO gap (spin up / spin down): 8.4 / 7.7 eV
ΔE to the lowest compared entry with this formula, charge and spin: 491.41 kJ/mol
strongest force on any atom: 1.11 eV/Å

Last column: Löwdin charge in e.
CARTESIAN COORDINATES (ANGSTROEM)
C -1.633 0.069 -0.789  -0.1184
C -0.257 0.030 -0.232  -0.0220
C 1.525 -0.201 1.570  -0.1864
O 1.777 -0.380 2.700  0.1204
C 2.266 0.036 0.307  -0.2218
N 1.959 0.213 -0.834  0.1054
H -2.364 -0.132 0.010  0.0912
H -1.775 -0.700 -1.553  0.0787
H -1.869 1.052 -1.206  0.0774
H 0.151 0.938 0.166  0.0376
H 0.220 -0.925 -0.139  0.0379

***

Below is C4H5NO in the gas phase, with properties calculated with wB97M-V/def2-TZVPD.

Computed properties:
HOMO-LUMO gap: 10.9 eV
structure (SMILES): C=COC1=NC1
ΔE to the lowest compared entry with this formula, charge and spin: 297.74 kJ/mol
strongest force on any atom: 0.54 eV/Å

Last column: Löwdin charge in e.
CARTESIAN COORDINATES (ANGSTROEM)
C -1.154 -1.165 0.344  0.0467
C -1.350 -0.251 -0.594  -0.1708
O -0.328 0.387 -1.283  0.0506
C 0.781 0.599 -0.584  -0.4588
N 1.987 0.876 -0.744  0.1948
C 1.403 0.766 0.691  -0.0788
H -0.159 -1.488 0.629  0.0643
H -1.999 -1.613 0.851  0.0648
H -2.318 0.089 -0.945  0.1191
H 1.703 -0.096 1.287  0.0816
H 1.288 1.696 1.247  0.0864

***

Below is C4H5NO in the gas phase at a distorted geometry, with properties calculated with wB97M-V/def2-TZVPD.

Computed properties:
HOMO-LUMO gap: 10.1 eV
structure (SMILES): C#CCON=C
ΔE to the lowest compared entry with this formula, charge and spin: 633.27 kJ/mol
strongest force on any atom: 7.53 eV/Å

Last column: Löwdin charge in e.
CARTESIAN COORDINATES (ANGSTROEM)
C 0.357 2.218 2.134  0.1152
C 0.787 1.235 1.439  -0.0814
C 0.566 0.062 0.606  -0.2429
O -0.483 -0.210 -0.324  -0.1585
N -0.033 -1.149 -1.044  -0.1221
C -0.827 -1.326 -2.066  -0.0262
H 0.307 2.804 3.065  0.0376
H 1.521 -0.449 0.094  0.1598
H 0.249 -0.650 1.366  0.1174
H -0.692 -1.988 -2.996  0.0795
H -1.751 -0.547 -2.275  0.1216

***

Below is C4H5NO in the gas phase at a distorted geometry, with properties calculated with wB97M-V/def2-TZVPD.

Computed properties:
HOMO-LUMO gap: 11.6 eV
structure (SMILES): N#C[C@H]1CCO1
ΔE to the lowest compared entry with this formula, charge and spin: 156.67 kJ/mol
strongest force on any atom: 1.11 eV/Å

Last column: Löwdin charge in e.
CARTESIAN COORDINATES (ANGSTROEM)
N 2.825 -0.766 0.021  0.1576
C 1.858 -0.140 0.122  -0.1444
C 0.596 0.621 0.234  -0.3185
C -0.477 0.189 -0.784  -0.0771
C -1.109 -0.504 0.430  -0.1562
O -0.200 0.167 1.328  -0.0782
H 0.822 1.690 0.302  0.1496
H -1.062 1.032 -1.155  0.1131
H -0.143 -0.437 -1.613  0.1150
H -2.152 -0.263 0.655  0.1174
H -0.959 -1.590 0.461  0.1217

***

Below is a molecular structure, C4H5NO, with properties calculated with wB97M-V/def2-TZVPD.

Computed properties:
HOMO-LUMO gap: 9.9 eV
ΔE to the lowest compared entry with this formula, charge and spin: 487.81 kJ/mol
strongest force on any atom: 0.48 eV/Å

Last column: Löwdin charge in e.
CARTESIAN COORDINATES (ANGSTROEM)
N 1.860 0.319 -0.377  0.1572
C 0.707 -0.336 0.007  -0.5203
C 0.576 1.111 -0.005  -0.0717